Ice on the Rocks
18 March 2022
Although the Arecibo radio telescope is no more, it continues to deliver scientific discoveries. There is a wealth of Arecibo data astronomers continue to mine for new discoveries, and one of them is thanks to an astronomical technique known as planetary radar.
You’re probably familiar with radar as it’s used in weather forecasts, or when you’re caught speeding on the highway. Radar works by beaming a radio signal at an object. Some of the radio light bounces back, and from the return signal, you can tell things such as how distant an object is and where it is moving. Planetary radar involves beaming a radio signal at a planet, then picking up the scattered signal with a sensitive radio telescope. The technique was first used in the 1960s to measure the orbits of Venus and Mercury.
********
MgReBr2: relaxed, PBE-GGA.

Lattice parameters (Å, degrees): 4.650 4.650 8.864 74.79 74.79 90.00
Positions (direct):
Re (0.000, 0.000, 0.000)
Re (0.750, 0.250, 0.500)
Mg (0.500, 0.500, 0.000)
Mg (0.250, 0.750, 0.500)
Br (0.651, 0.125, 0.250)
Br (0.099, 0.625, 0.250)
Br (0.375, 0.349, 0.750)
Br (0.875, 0.901, 0.750)

Results
Its density of states at the Fermi level is 5.41 states/eV/cell. The calculation puts the uncorrected formation energy at 696 meV per atom. The value obtained for the energy relative to the lowest polymorph listed for this composition is 649.6 meV per atom.



Ca2Cd2Hg5: relaxed, PBE-GGA.

Lattice parameters (Å, degrees): 4.960 9.421 11.719 113.70 102.22 90.00
Positions (direct):
Ca (0.112, 0.510, 0.723)
Ca (0.888, 0.787, 0.277)
Ca (0.112, 0.010, 0.723)
Ca (0.888, 0.287, 0.277)
Cd (0.000, 0.899, 0.000)
Cd (0.500, 0.399, 0.000)
Cd (0.500, 0.899, 0.500)
Cd (0.500, 0.399, 0.500)
Hg (0.705, 0.603, 0.909)
Hg (0.295, 0.694, 0.091)
Hg (0.704, 0.103, 0.909)
Hg (0.296, 0.194, 0.091)
Hg (0.582, 0.750, 0.703)
Hg (0.418, 0.047, 0.297)
Hg (0.621, 0.250, 0.703)
Hg (0.379, 0.547, 0.297)
Hg (0.020, 0.148, 0.500)
Hg (0.980, 0.648, 0.500)

Results
Its density of states at the Fermi level is 7.63 states/eV/cell. The value obtained for the formation energy is -249.0 meV/atom. The value obtained for the energy relative to the lowest polymorph listed for this composition is 0.0 meV per atom.



Q: The lowest energy relative to the lowest polymorph listed for this composition belongs to which entry?
A: Ca2Cd2Hg5
********
[Here the page continues]
Over the years, radar astronomy has gotten more powerful. In the past several decades the method could be used not only to map the surface of a planet but also to identify surface composition. In the 1990s planetary radar was used to map the surface of Mercury, and it surprisingly found pockets of ice near the planet’s poles. The radar maps weren’t precise enough to determine exactly where the ice was located, but astronomers figured it must be hidden within the shadowed regions of polar craters where sunlight never reaches. Further studies in 2012 confirmed the presence of crater ice.

_These materials data were left in the text by mistake_
/*
Record 1
A geometry-optimized RbZnRe3 structure, computed with GGA-PBE.

Lattice parameters (Å, degrees): 4.7337 4.7337 4.7337 90.00 90.00 90.00
Space group Pm-3m (No. 221)
Unique sites:
Rb: 0.0000 0.0000 0.0000 [1 per cell]
Zn: 0.5000 0.5000 0.5000 [1 per cell]
Re: 0.0000 0.5000 0.5000 [3 per cell]

Values from the calculation:
- Magnetization: 0.001 μB per atom
- Total energy: -26.467 eV per cell
- DFT formation energy: 2.62 eV/atom
- Energy above the lowest structure with this stoichiometry: 0.0 meV/atom
- Crystal system: cubic

***

Record 2
A geometry-optimized PdPtPb3 structure, computed with GGA-PBE.

Lattice parameters (Å, degrees): 5.3377 5.3377 5.3377 90.00 90.00 90.00
Space group Pm-3m (No. 221)
Unique sites:
Pd: 0.0000 0.0000 0.0000 [1 per cell]
Pt: 0.5000 0.5000 0.5000 [1 per cell]
Pb: 0.0000 0.5000 0.5000 [3 per cell]

Values from the calculation:
- Magnetization: 0.000 μB per atom
- Total energy: -20.508 eV per cell
- DFT formation energy: 0.37 eV/atom
- Energy above the lowest structure with this stoichiometry: 532.4 meV/atom
- Crystal system: cubic

***

Question: Which formula does entry 1 have?
Answer: RbZnRe3
*/
Then 2019 Arecibo beamed a powerful radio signal toward Mercury. The scattered signal was captured by the Arecibo receiver, allowing astronomers to make a detailed radio map of Mercury, including polar regions where there are ice pockets. In this latest study, this data was combined with data from the Messenger spacecraft, which orbited Mercury from 2011 to 2015.1
The Messenger spacecraft used laser mapping to distinguish bright regions of ice from darker regolith regions. By combining the data, the team was able to better interpret data from the radar map. Although ice typically reflects more radio light than regolith, making icy regions appear bright on a radar map, regions can also appear bright for other reasons, such as scattering off a surface angled just so. The team was able to confirm that the radio bright regions of Mercury generally indicated ice. They could even get a handle on the purity of Mercury’s ice pockets.
In addition to further confirming Mercury’s polar ice, the study also lays the groundwork for radar maps of other worlds. For example, there is a great deal of interest in the location of water ice on the Moon, which would be extremely useful for future lunar astronauts. Refined radar maps of the Moon will be able to determine not only the position of lunar ice pockets but also the size and purity of these pockets. And if you are going to build a base on the Moon, it would be very helpful to have a bit of ice on the rocks nearby.
Edgard G. Rivera-Valentín et al. “Arecibo S-band Radar Characterization of Local-scale Heterogeneities within Mercury’s North Polar Deposits.” The Planetary Science Journal 3.3 (2022): 62. ↩︎